Monday, December 11, 2006

Protection of Garments Against Moths

**What comes next are data records, not part of the entry:**
____________
Computed, not measured: C23H29ClN2O3 in the gas phase, with wB97M-V/def2-TZVPD.

```
! RIJCOSX wB97M-V def2-TZVPD def2/J DEFGRID3
* xyz 0 1
C -1.828 3.410 -2.030
H -2.444 2.701 -1.474
O -0.654 2.808 -2.526
C 0.301 2.318 -1.688
C 1.461 1.911 -2.340
C 2.522 1.325 -1.672
C 2.441 1.199 -0.294
C 1.314 1.629 0.381
C 0.226 2.168 -0.294
O -0.936 2.533 0.362
C -0.838 2.911 1.717
H 0.047 3.531 1.901
H -1.728 3.519 1.915
C -0.843 1.756 2.726
O -0.542 1.936 3.887
N -1.243 0.580 2.217
H -1.418 0.521 1.224
C -1.300 -0.637 3.001
C -2.506 -1.476 2.585
C -2.578 -2.752 3.418
C -1.292 -3.559 3.273
C -0.090 -2.721 3.698
C -0.005 -1.445 2.868
H 0.163 -1.699 1.818
H 0.833 -0.832 3.205
H 0.829 -3.299 3.580
H -0.187 -2.458 4.754
H -1.171 -3.867 2.231
H -1.350 -4.462 3.883
H -3.434 -3.351 3.099
H -2.725 -2.490 4.468
H -2.417 -1.739 1.527
H -3.420 -0.891 2.711
H -1.408 -0.318 4.044
H 1.272 1.521 1.453
H 3.256 0.762 0.262
C 3.715 0.800 -2.438
N 3.415 -0.044 -3.578
H 2.921 0.481 -4.292
C 2.694 -1.270 -3.286
C 1.248 -1.094 -2.878
C 0.831 -1.356 -1.579
C -0.479 -1.148 -1.191
C -1.407 -0.670 -2.097
C -1.023 -0.416 -3.401
C 0.290 -0.635 -3.779
Cl 0.726 -0.320 -5.428
H -1.734 -0.047 -4.124
H -2.431 -0.500 -1.798
H -0.776 -1.368 -0.176
H 1.553 -1.722 -0.864
H 3.235 -1.792 -2.492
H 2.737 -1.884 -4.193
H 4.352 0.222 -1.760
H 4.306 1.641 -2.817
H 1.491 2.059 -3.408
H -1.605 4.270 -1.395
H -2.368 3.747 -2.915
*
```

Output
- ΔE to the lowest compared entry with this formula, charge and spin (kcal/mol) = 3.1
- SMILES = COc1cc(CNCc2ccccc2Cl)ccc1OCC(=O)NC1CCCCC1
- lowest unoccupied orbital energy (eV) = 0.641

---

Computed, not measured: C6H9NS2 in the gas phase at a distorted geometry, with wB97M-V/def2-TZVPD.

```
! RIJCOSX wB97M-V def2-TZVPD def2/J DEFGRID3
* xyz 0 1
C -1.161 -1.090 -0.073
C 0.009 -0.418 -0.964
C -0.842 -2.789 -1.751
C -1.642 -0.652 1.242
C 2.162 0.480 -0.576
C 0.674 0.851 -0.789
N -1.297 -2.339 -0.531
S -1.104 -4.231 -2.554
S 0.145 -1.446 -2.292
H -2.466 -1.261 1.670
H -1.943 0.333 1.204
H -0.959 -0.794 2.123
H 2.208 -0.182 0.234
H 2.666 1.343 -0.256
H 2.516 0.039 -1.506
H 0.405 1.600 -1.471
H 0.296 1.218 0.200
H -2.062 -2.813 -0.065
*
```

Output
- ΔE to the lowest compared entry with this formula, charge and spin (kcal/mol) = 45.6
- SMILES = CCc1sc(=S)[nH]c1C
- lowest unoccupied orbital energy (eV) = 0.391

---

Number 1: HOMO-LUMO gap 8.9 eV. Number 2: HOMO-LUMO gap 7.5 eV.

* * * * *

1.
DFT (wB97M-V/def2-TZVPD) results for C14H33BeCaCl2FN3O15P2V as an isolated structure in a non-equilibrium geometry.

Calculated values
* frontier orbital gap: 0.0530 Ha
* total energy: -5184.31517 Eh
* HOMO: -7.60 eV

Geometry (Å):
C 2.533 -3.952 2.521
P 2.779 -2.287 3.369
O 1.190 -1.818 3.885
O 3.757 -2.407 4.774
C 4.302 -1.092 5.019
O 3.862 -0.362 5.935
N 5.444 -0.653 4.175
F 6.527 -0.637 5.052
C 5.291 0.748 3.696
C 4.491 0.858 2.301
C 2.893 0.925 2.465
C 2.220 2.316 1.983
O 1.452 2.033 0.772
H 1.792 -4.655 3.064
H 3.535 -4.445 2.290
H 2.045 -3.716 1.498
H 0.875 -1.195 3.174
____________


Different sorts of fabrics are used for manufacturing of various types of garments. Silk, wool, cotton, rayon, polyester, satin, velvet, linen, etc are some examples . The fabrics are of two types namely- natural fabrics and man-made fabrics. The natural fabrics are obtained from various sources of nature like wool from sheep, silk from silkworm, cotton from cotton plants, etc. These fabrics are prone to breeding of insects like moths, fungi etc. on them.

One of the common insect is the clothes moth. They are of brown color and flat in shape. They generally attach to the woolen clothes and prefer dark surroundings. Clothes can be damaged even by their larvae. There are many methods through which the damaged caused due to clothes moths can be controlled like – freezing, usage of insecticide, dry cleaning of clothes, etc. Maintaining low level of humidity level in the atmosphere of the house facilitates in checking out their growth rate. Prevention is always better than cure therefore maintaining cleanliness in the house and in the closets is the best option. But if problems increase to an extent then insecticide use is the last option.

Protection inside storage units

When clothes are not stored and maintained properly, the chances of clothes moths damaging the garments increases. It should be made sure that the clothes when kept in the closet should be clean and dry without any trace of insects. Also the closet in which they are kept should be tightly and securely constructed. Many things like naphthalene balls, closet fresheners, flakes, moth balls, etc. could be kept in the closets or wardrobes to keep away the moths. These items should be kept out of reach of children as these products are poisonous in nature. They are made up of chemicals and strong in nature, therefore when these items if placed in close proximity with plastic hangers, bags or buttons could result into their melting. The vapors created by them kill the insects breeding on the garments.

Dry Cleaning and Laundering of clothes

Washing the clothes in hot water is the easiest and cheapest way of killing the clothes moths. The fabrics that are washable at home could be cleaned by this method. Whereas the woolen and pure silk clothes have to be dry cleaned. Dry cleaning and laundering prevents the growth of clothes moths as these insects prefer spoiled unhygienic clothes to clean ones.

Freeze and heat the clothes

One of the methods to kill clothes moths is by sterilizing the clothes with dry ice where the temperature is kept below 18°F. And in heating the temperature is kept above 120°F. Treatment of fabrics by such extreme temperatures destroys the insects. Prevention and reduction

These clothes moths harvest mainly on woolen and old fabric scraps. Therefore these items should be cleaned regularly and woolen clothes should be exposed to sun once a month, as the heat of the sun kills insects because they cannot bear the heat and light of the sun. Cleaning of woolen clothes by vacuum cleaner or brushing them is also a good option.

Usage of insecticides

When all other moths control methods prove inefficient, then spraying of insecticides on clothes proves beneficial. These insecticides containing pyrethrin can be sprayed directly on clothes provided the fabrics don’t stain easily and are not very delicate like silk, satin, velvet, etc. Before using them make sure to read the directions for usage and warning instructions.

Care for Special fabrics

There are certain fabric items which require specialized care and treatment to protect them from the clothes moths, like home furnishings, fur items and carpets. The best way to protect fur items is storing them with moth balls, flakes or crystals. Regularly try to air the furs. Do not spray insecticide on them.

The rugs and carpets of small sizes could be dry cleaned. In case of wall to wall carpets insecticides could be applied on their edges and on both sides. The amount of spray on upper surface should be less in comparatively in order to avoid stains. Sometimes animal feathers or hair are filled or added to various home furnishings. To keep them moths-free they could be treated by fumigation by dry ice or pest control in the storage units.

Fact tips

▪ The clothes which are more prone to clothes moths should be dry cleaned at regular intervals and stored in airtight containers.

▪ Usage of cedar wood also discourages the growth of moths, therefore if possible store woolen clothes in cedar chests or trunks.

▪ Immediately clean the food stains from the clothes as if you leave them it promotes the growth of moths. Do not spray perfumes on woolen items, but could be spayed on to other fabrics and skin. The strong smells of perfumes don’t attract clothes moths.

▪ The house and closet could be cleaned with vacuum cleaner periodically.